# What to do
Your job: repeat the lines further down up to the one that holds "0.7500", that line included.

# Entries
........
Entry from the Alexandria database: an optimized crystal structure of KHfRu2W (PBE).

a b c (Å): 4.7339 4.9094 4.7339
angles (deg): 90.00 90.00 90.00
With the nearest neighbours (Å) after each atom.
Fractional positions:
Hf (0.0000, 0.0000, 0.0000)  4 Ru 2.37, 2 K 2.45
W (0.5000, 0.5000, 0.5000)  4 K 3.35, 8 Ru 3.41
Ru (0.5000, 0.0000, 0.0000)  2 Hf 2.37
Ru (0.0000, 0.0000, 0.5000)  2 Hf 2.37
K (0.0000, 0.5000, 0.0000)  2 Hf 2.45

## Properties
space-group type = P4/mmm, No. 123
energy relative to the elements = 228.0 kJ per mole of atoms
total energy = -0.45184 Ry per atom
density of states at the Fermi level = 1.5165 states/eV per atom
magnetization = 0.0152 μB per atom

~~~~~

[1]
Here is BaCu2BSe4 after structural relaxation from Alexandria. Energies are from GGA-PBE.

Output
ΔE_f (raw): -4.7 eV per formula unit
total energy: -4.4286 eV per atom

abc: 6.5234 6.2116 6.2116
angles: 84.05 58.33 58.33
Positions (direct):
Cu  0.5000  0.2508  0.7492
Cu  0.5000  0.7492  0.2508
Se  0.3640  0.1720  0.4641
Se  0.0001  0.8280  0.5359
Se  0.9999  0.4641  0.1720
Se  0.6360  0.5359  0.8280
Ba  0.0000  0.0000  0.0000
B  0.0000  0.5000  0.5000

[2]
Here is PmPrPb2 after structural relaxation from Alexandria. Energies are from GGA-PBE.

Output
total energy: -4.7488 eV per atom

abc: 3.6187 3.6187 9.2354
angles: 90.00 90.00 90.00
Positions (direct):
Pm  0.5000  0.5000  0.0000
Pb  0.0000  0.0000  0.7533
Pb  0.0000  0.0000  0.2467
Pr  0.5000  0.5000  0.5000

[3]
Here is AcMg2ZnGa2 after structural relaxation from Alexandria. Energies are from GGA-PBE.

Output
total energy: -2.4922 eV per atom

abc: 5.1927 5.1927 6.8398
angles: 112.31 112.31 90.00
Positions (direct):
Zn  0.0000  0.0000  0.0000
Ga  0.2040  0.2040  0.4080
Ga  0.7960  0.7960  0.5920
Ac  0.5000  0.5000  0.0000
Mg  0.2500  0.7500  0.5000
........

# Done
Entry from the Alexandria database: an optimized crystal structure of KHfRu2W (PBE).

a b c (Å): 4.7339 4.9094 4.7339
angles (deg): 90.00 90.00 90.00
With the nearest neighbours (Å) after each atom.
Fractional positions:
Hf (0.0000, 0.0000, 0.0000)  4 Ru 2.37, 2 K 2.45
W (0.5000, 0.5000, 0.5000)  4 K 3.35, 8 Ru 3.41
Ru (0.5000, 0.0000, 0.0000)  2 Hf 2.37
Ru (0.0000, 0.0000, 0.5000)  2 Hf 2.37
K (0.0000, 0.5000, 0.0000)  2 Hf 2.45

## Properties
space-group type = P4/mmm, No. 123
energy relative to the elements = 228.0 kJ per mole of atoms
total energy = -0.45184 Ry per atom
density of states at the Fermi level = 1.5165 states/eV per atom
magnetization = 0.0152 μB per atom

~~~~~

[1]
Here is BaCu2BSe4 after structural relaxation from Alexandria. Energies are from GGA-PBE.

Output
ΔE_f (raw): -4.7 eV per formula unit
total energy: -4.4286 eV per atom

abc: 6.5234 6.2116 6.2116
angles: 84.05 58.33 58.33
Positions (direct):
Cu  0.5000  0.2508  0.7492
Cu  0.5000  0.7492  0.2508
Se  0.3640  0.1720  0.4641
Se  0.0001  0.8280  0.5359
Se  0.9999  0.4641  0.1720
Se  0.6360  0.5359  0.8280
Ba  0.0000  0.0000  0.0000
B  0.0000  0.5000  0.5000

[2]
Here is PmPrPb2 after structural relaxation from Alexandria. Energies are from GGA-PBE.

Output
total energy: -4.7488 eV per atom

abc: 3.6187 3.6187 9.2354
angles: 90.00 90.00 90.00
Positions (direct):
Pm  0.5000  0.5000  0.0000
Pb  0.0000  0.0000  0.7533
Pb  0.0000  0.0000  0.2467
Pr  0.5000  0.5000  0.5000

[3]
Here is AcMg2ZnGa2 after structural relaxation from Alexandria. Energies are from GGA-PBE.

Output
total energy: -2.4922 eV per atom

abc: 5.1927 5.1927 6.8398
angles: 112.31 112.31 90.00
Positions (direct):
Zn  0.0000  0.0000  0.0000
Ga  0.2040  0.2040  0.4080
Ga  0.7960  0.7960  0.5920
Ac  0.5000  0.5000  0.0000
Mg  0.2500  0.7500  0.5000